A last minute P.S. for this post: As soon as the game is over, Scarekrow will light up our stage like neon swizzle sticks in the night sky!
Get Ready for the 2nd Annual Cowboy Bill's - Coors Light Super Bowl Party!
Howdy, it's Rowdy with some news about the 2nd Annual Super Bowl Party.
If you were at this party last year, you know it was the best Super Bowl party of any bar in Key West.
Like last year, this year we will be giving away two 37 inch LCD HD TVs made by Vizio. To be one of the two winners of these TVs, you must qualify by being one of the first 200 people through our doors.
Here's How the LCD TV Giveaway Football Pool works
- - -
8 unconnected molecules or ions with the total composition C32H88N8O8, computed with ωB97M-V with the def2-TZVPD basis set.

XYZ file:
```
136
Properties=species:S:1:pos:R:3:mulliken_charge:R:1
C 0.0594 -6.2506 -6.7644 -1.35
C -0.9838 -5.6337 -5.8586 0.57
C -0.3988 -4.5497 -4.9833 -0.67
O -1.4125 -3.9638 -4.2179 -0.39
C -0.9349 -2.8943 -3.4525 -0.54
N -2.0489 -5.0338 -6.7255 -0.78
H 0.4376 -5.5894 -7.5358 0.35
H -0.2084 -7.2283 -7.1709 0.34
H 0.9295 -6.5658 -6.1517 0.32
H -1.5060 -6.3474 -5.2141 0.31
H 0.1598 -3.7887 -5.5623 0.38
H 0.3970 -4.9077 -4.3022 0.20
H -1.7281 -2.2329 -3.1334 0.22
H -0.1150 -2.3573 -3.9492 0.34
H -0.4555 -3.2834 -2.5375 0.14
H -2.9114 -5.5633 -6.6292 0.26
H -2.3342 -4.1298 -6.3497 0.27
C 3.3104 3.8171 2.5871 -1.43
C 3.6411 5.0987 1.8115 0.57
C 2.7130 5.3357 0.6442 -0.16
O 1.3542 5.3311 1.1094 -0.46
C 0.3874 4.8845 0.1871 -0.34
N 3.6065 6.3019 2.7120 -0.81
H 4.0835 3.6453 3.3375 0.38
H 3.2069 2.9014 1.9909 0.32
H 2.3296 3.8893 3.0708 0.34
H 4.6868 4.9592 1.5072 0.18
H 2.9829 4.6712 -0.1784 -0.10
H 2.8126 6.3832 0.3171 0.30
H 0.3026 3.7863 0.1787 0.04
H 0.5577 5.2581 -0.8248 0.15
H -0.5888 5.2028 0.5569 0.37
H 2.6309 6.6035 2.7318 0.32
H 3.8051 6.0164 3.6678 0.26
C -6.4106 -1.8225 4.1378 -1.52
C -5.0675 -1.2414 3.7430 0.21
C -4.3092 -0.6479 4.9106 -0.43
O -3.9989 -1.6589 5.8591 -0.35
C -3.5707 -1.1252 7.0738 -0.82
N -4.2844 -2.2965 3.0878 -0.59
H -6.9960 -1.8685 3.2088 0.41
H -7.0047 -1.2459 4.8416 0.36
H -6.3594 -2.8675 4.4436 0.32
H -5.1686 -0.4726 2.9721 0.33
H -4.8134 0.1777 5.4360 0.61
H -3.3579 -0.2207 4.5352 0.14
H -2.6786 -0.4867 6.9308 0.30
H -3.2184 -1.9357 7.7168 0.27
H -4.3192 -0.5498 7.6325 0.36
H -3.2876 -2.0959 3.0379 0.13
H -4.3483 -3.1546 3.6281 0.32
C -1.8757 1.0459 1.8813 -1.16
C -1.5305 0.7700 0.4237 0.98
C -1.6854 -0.7283 0.1044 -0.34
O -0.8416 -1.1637 -0.9557 -0.22
C 0.4623 -1.4456 -0.5335 -0.26
N -2.4521 1.6106 -0.4134 -0.65
H -2.8552 0.6656 2.1948 -0.14
H -1.9337 2.1254 2.0130 0.53
H -1.1554 0.5570 2.5454 0.21
H -0.4954 1.0360 0.1932 0.08
H -2.6820 -0.9342 -0.2902 0.48
H -1.4556 -1.3391 0.9881 -0.31
H 0.5111 -1.8130 0.5051 0.12
H 1.0183 -0.4979 -0.4557 0.25
H 0.9930 -2.1261 -1.1906 -0.07
H -2.1368 1.6394 -1.3868 0.16
H -3.2882 1.0292 -0.5120 0.29
C 0.9206 -2.0594 3.5071 -0.71
C -0.1443 -2.9513 4.1081 0.19
C -0.5848 -2.4551 5.4564 -0.24
O 0.5624 -2.2924 6.2729 -0.39
C 0.2503 -1.7880 7.5694 -0.68
N -1.2740 -3.0761 3.1952 -0.18
H 0.4574 -1.0856 3.2980 0.02
H 1.3100 -2.4368 2.5541 -0.18
H 1.8041 -1.9437 4.1277 0.46
H 0.3941 -3.9085 4.2484 0.14
H -1.4007 -3.0165 5.9296 0.41
H -0.9702 -1.4200 5.3177 -0.03
H 1.1719 -1.8245 8.1455 0.27
H -0.4949 -2.4278 8.0532 0.26
H -0.0679 -0.7414 7.4786 0.29
H -0.9981 -3.3733 2.2655 0.05
H -1.8739 -3.8186 3.5495 0.33
C 2.2020 -5.4956 -0.1201 -1.30
C 3.1737 -4.4331 -0.5924 1.37
C 4.1631 -4.0243 0.4640 -0.88
O 4.9186 -2.9262 0.0568 -0.21
C 6.2840 -3.1753 -0.1730 -0.78
N 3.9496 -5.0986 -1.7056 -0.79
H 2.6779 -6.4216 0.2031 0.38
H 1.5111 -5.8181 -0.9072 0.30
- - -
Like last year, we are only selling 300 tickets to this year's party. But only the first 200 of the 300 people admitted will be entered in the giant Coors Light-Cowboy Bill's TV giveaways. We are erecting a giant sized 8' X 8' game pool board (100 squares like a regular office pool for football). If you are one of the first 200 people in the doors, you will have your ID bracelet number written with a Sharpie in one of those squares. You will share that square with one other person.
At the beginning of the game, the persons with the scores ending in 0,0 will be escorted to two inflatable chairs up on the Rock Star Party Deck. Those two people will drink free beer or mixed drinks the whole time they sit in those chairs.
When the score change . . . and for illustrative purposes let's say Pittsburgh Steelers score first with a field goal . . .we then go out and find the two people whose square corresponds with Pittsburgh 3, St. Louis 0. These two people will then take over the two chairs from the people who were sitting in them at the beginning of the game when the score was 0-0.
Again, the two new people sitting in the Rock Star Party Deck chairs will drink FREE.
Now here's where the TVs come in . . .
The last two people sitting in the chairs at the end of the game win the two TVs. They will walk out of Cowboy Bill's with the two new televisions worth $1500 each at retail.
Last year, an out of town couple won a TV. The other was won by Bob and Deb who are regulars at Cowboy Bill's and that really made us happy as Bob and Deb are big time supporters of our bands.
Other specials for our 2nd Annual Super Bowl Party
All 300 of you who enter the bar will receive a wrist band corresponding to the team you support. Let's say you are rooting for the Arizona Cardinals. And let's say they score 5 times during this game. Well, all you need to do is show your wrist band to a bartender or waitress and you will receive one free shot every time your team scores! Five scores = five shots. Hello!
Also, your ticket purchase ($20 per person) will entitle you to an all you can eat Southern Style BBQ Buffet with all the fixins. Last year, every scrap was eaten it was so good. So, this year, we're bringing back our friends from Dolphin Deli up on Stock Island to cater our food again. Come hungry!

Since Coors Light is co-promoting, we will sell buckets of Coors Light for $10 all throughout the game.
We will also have other door prizes and T-shirt giveaways.
And, for sure, you'll be seeing a lot of your friends at this event.
Now if you want your $20 tickets, you better get them tonight. You can do this two ways:
1. Either buy the tickets from me while I'm in the DJ Booth all night
2. Go to http://www.keystix.com/ and buy them online
By the way, tonight's band is one of this town's favorites, Scarekrow. They will also be playing tomorrow, Sunday, right after the game ends.
Speaking of which . . . the game starts at 6:20 . . . at least that's what time the NFL says kickoff will be this year. However, the gates open at 12 noon. And keep in mind, it's the first 200 people to arrive with tickets in hand (you can buy them at the door if any are let), will be entered into the TV Giveaway Football Pool.
So, get here early. Hang out. Play some pinball, watch the buildup to the game, talk to the band members hanging out early with us employees.
See you Sunday, Sunday, Sunday! Feel the power, power, power!
Cowboy Bill's - Coor's Light's 2nd Annual Super Bowl Party!
Rowdy over and out,
p.s. Again, tickets are only $20 and you get the buffet, free shots everytime your team scores, you can sit indoors or outdoors and watch the game on our 36 TVs and big screens. We will set up tables and chairs on the dancefloor and those go by a "first come, first seated" basis. And don't forget, only the first 200 of you 300 people will entered in the gigantic LCD TV Giveaway Football Pool. Free shots every time your team scores. Buckets of Coors Light for only $10. Huge Southern Style BBQ Buffet (eat all you want). And 300 people screaming for their favorite team.
It's going to be a humdinger. Hope to see you here!
p.p.s. Tickets can be bought from me Saturday Night for $20 or you can order online at http://www.keystix.com/